Next, give back all of the rows further down exactly.

[1]
Compound: Nd2Ti2O7
Source: the Materials Project
Functional: r²SCAN
Structure: optimized geometry

a = 7.679 Å, b = 5.484 Å, c = 13.101 Å
α = 90.00°, β = 98.49°, γ = 90.00°
Sites, in units of the cell vectors:
Nd 0.145 0.000 0.072
Nd 0.229 0.405 0.410
Nd 0.281 0.893 0.621
Nd 0.351 0.432 0.883
Nd 0.649 0.932 0.117
Nd 0.719 0.393 0.379
Nd 0.771 0.905 0.590
Nd 0.855 0.500 0.928
Ti 0.031 0.408 0.619
Ti 0.074 0.932 0.820
Ti 0.414 0.440 0.175
Ti 0.472 0.907 0.379
Ti 0.528 0.407 0.621
Ti 0.586 0.940 0.825
Ti 0.926 0.432 0.180
Ti 0.969 0.908 0.381
O 0.022 0.092 0.683
O 0.043 0.670 0.519
O 0.079 0.201 0.906
O 0.116 0.605 0.727
O 0.130 0.715 0.929
O 0.174 0.340 0.195
O 0.223 0.962 0.391
O 0.273 0.319 0.592
O 0.327 0.999 0.806
O 0.374 0.725 0.112
O 0.409 0.232 0.058
O 0.433 0.588 0.319
O 0.467 0.669 0.521
O 0.497 0.601 0.730
O 0.503 0.101 0.270
O 0.533 0.169 0.479
O 0.567 0.088 0.681
O 0.591 0.732 0.942
O 0.626 0.225 0.888
O 0.673 0.499 0.194
O 0.727 0.819 0.408
O 0.777 0.462 0.609
O 0.826 0.840 0.805
O 0.870 0.215 0.071
O 0.884 0.105 0.273
O 0.921 0.701 0.094
O 0.957 0.170 0.481
O 0.978 0.592 0.317

- Symmetry: P2_1 (4)
- Total DFT energy (no corrections): -664.9 eV per cell
- E_form: -348 kJ/mol of atoms



[2]
Compound: Ca2IrRhO6
Source: the Materials Project
Functional: r²SCAN
Structure: optimized geometry

a = 5.149 Å, b = 5.149 Å, c = 7.318 Å
α = 90.06°, β = 90.06°, γ = 35.59°
Sites, in units of the cell vectors:
Ca 0.249 0.249 0.243
Ca 0.751 0.751 0.757
Ir 0.000 0.000 0.500
Rh 0.000 0.000 0.000
O 0.077 0.077 0.747
O 0.373 0.373 0.949
O 0.374 0.374 0.552
O 0.626 0.626 0.448
O 0.627 0.627 0.051
O 0.923 0.923 0.253

- Symmetry: C2/m (12)
- Total DFT energy (no corrections): -145.6 eV per cell
- E_form: -185 kJ/mol of atoms



[3]
Compound: VF5
Source: the Materials Project
Functional: r²SCAN
Structure: optimized geometry

a = 5.582 Å, b = 6.315 Å, c = 10.004 Å
α = 90.00°, β = 90.11°, γ = 90.00°
Sites, in units of the cell vectors:
V 0.250 0.247 0.075
V 0.250 0.253 0.575
V 0.750 0.747 0.425
V 0.750 0.753 0.925
F 0.012 0.747 0.836
F 0.012 0.753 0.336
F 0.241 0.532 0.571
F 0.241 0.968 0.071
F 0.250 0.246 0.902
F 0.250 0.254 0.402
F 0.258 0.526 0.070
F 0.258 0.974 0.570
F 0.488 0.740 0.336
F 0.488 0.760 0.836
F 0.512 0.240 0.164
F 0.512 0.260 0.664
F 0.742 0.026 0.430
F 0.742 0.474 0.930
F 0.750 0.746 0.598
F 0.750 0.754 0.098
F 0.759 0.032 0.929
F 0.759 0.468 0.429
F 0.988 0.247 0.664
F 0.988 0.253 0.164

- Symmetry: P2_1/c (14)
- Total DFT energy (no corrections): -186.5 eV per cell
- E_form: -272 kJ/mol of atoms



[4]
Compound: PrMgGa
Source: the Materials Project
Functional: r²SCAN
Structure: optimized geometry

a = 7.493 Å, b = 7.493 Å, c = 4.563 Å
α = 90.00°, β = 90.00°, γ = 120.00°
Sites, in units of the cell vectors:
Pr 0.000 0.422 0.000
Pr 0.422 0.000 0.000
Pr 0.578 0.578 0.000
Mg 0.000 0.758 0.500
Mg 0.242 0.242 0.500
Mg 0.758 0.000 0.500
Ga 0.000 0.000 0.000
Ga 0.333 0.667 0.500
Ga 0.667 0.333 0.500

- Symmetry: P-62m (189)
- Total DFT energy (no corrections): -139.9 eV per cell
- E_form: -52 kJ/mol of atoms



[5]
Compound: Pr6Ge3S14
Source: the Materials Project
Functional: r²SCAN
Structure: optimized geometry

a = 10.330 Å, b = 10.330 Å, c = 5.815 Å
α = 90.00°, β = 90.00°, γ = 120.00°
Sites, in units of the cell vectors:
Pr 0.026 0.566 0.000
Pr 0.309 0.100 0.509
Pr 0.434 0.459 0.000
Pr 0.541 0.974 0.000
Pr 0.791 0.691 0.509
Pr 0.900 0.209 0.509
Ge 0.000 0.000 0.925
Ge 0.333 0.667 0.416
Ge 0.667 0.333 0.265
S 0.000 0.000 0.299
S 0.078 0.853 0.771
S 0.147 0.225 0.771
S 0.187 0.441 0.265
S 0.255 0.813 0.265
S 0.333 0.667 0.791
S 0.414 0.170 0.027
S 0.499 0.422 0.514
S 0.559 0.745 0.265
S 0.578 0.078 0.514
S 0.756 0.586 0.027
S 0.775 0.922 0.771
S 0.830 0.244 0.027
S 0.922 0.501 0.514

- Symmetry: P3 (143)
- Total DFT energy (no corrections): -369.6 eV per cell
- E_form: -164 kJ/mol of atoms



[6]
Compound: Yb2Ni21B6
Source: the Materials Project
Functional: r²SCAN
Structure: optimized geometry

[1]
Compound: Nd2Ti2O7
Source: the Materials Project
Functional: r²SCAN
Structure: optimized geometry

a = 7.679 Å, b = 5.484 Å, c = 13.101 Å
α = 90.00°, β = 98.49°, γ = 90.00°
Sites, in units of the cell vectors:
Nd 0.145 0.000 0.072
Nd 0.229 0.405 0.410
Nd 0.281 0.893 0.621
Nd 0.351 0.432 0.883
Nd 0.649 0.932 0.117
Nd 0.719 0.393 0.379
Nd 0.771 0.905 0.590
Nd 0.855 0.500 0.928
Ti 0.031 0.408 0.619
Ti 0.074 0.932 0.820
Ti 0.414 0.440 0.175
Ti 0.472 0.907 0.379
Ti 0.528 0.407 0.621
Ti 0.586 0.940 0.825
Ti 0.926 0.432 0.180
Ti 0.969 0.908 0.381
O 0.022 0.092 0.683
O 0.043 0.670 0.519
O 0.079 0.201 0.906
O 0.116 0.605 0.727
O 0.130 0.715 0.929
O 0.174 0.340 0.195
O 0.223 0.962 0.391
O 0.273 0.319 0.592
O 0.327 0.999 0.806
O 0.374 0.725 0.112
O 0.409 0.232 0.058
O 0.433 0.588 0.319
O 0.467 0.669 0.521
O 0.497 0.601 0.730
O 0.503 0.101 0.270
O 0.533 0.169 0.479
O 0.567 0.088 0.681
O 0.591 0.732 0.942
O 0.626 0.225 0.888
O 0.673 0.499 0.194
O 0.727 0.819 0.408
O 0.777 0.462 0.609
O 0.826 0.840 0.805
O 0.870 0.215 0.071
O 0.884 0.105 0.273
O 0.921 0.701 0.094
O 0.957 0.170 0.481
O 0.978 0.592 0.317

- Symmetry: P2_1 (4)
- Total DFT energy (no corrections): -664.9 eV per cell
- E_form: -348 kJ/mol of atoms



[2]
Compound: Ca2IrRhO6
Source: the Materials Project
Functional: r²SCAN
Structure: optimized geometry

a = 5.149 Å, b = 5.149 Å, c = 7.318 Å
α = 90.06°, β = 90.06°, γ = 35.59°
Sites, in units of the cell vectors:
Ca 0.249 0.249 0.243
Ca 0.751 0.751 0.757
Ir 0.000 0.000 0.500
Rh 0.000 0.000 0.000
O 0.077 0.077 0.747
O 0.373 0.373 0.949
O 0.374 0.374 0.552
O 0.626 0.626 0.448
O 0.627 0.627 0.051
O 0.923 0.923 0.253

- Symmetry: C2/m (12)
- Total DFT energy (no corrections): -145.6 eV per cell
- E_form: -185 kJ/mol of atoms



[3]
Compound: VF5
Source: the Materials Project
Functional: r²SCAN
Structure: optimized geometry

a = 5.582 Å, b = 6.315 Å, c = 10.004 Å
α = 90.00°, β = 90.11°, γ = 90.00°
Sites, in units of the cell vectors:
V 0.250 0.247 0.075
V 0.250 0.253 0.575
V 0.750 0.747 0.425
V 0.750 0.753 0.925
F 0.012 0.747 0.836
F 0.012 0.753 0.336
F 0.241 0.532 0.571
F 0.241 0.968 0.071
F 0.250 0.246 0.902
F 0.250 0.254 0.402
F 0.258 0.526 0.070
F 0.258 0.974 0.570
F 0.488 0.740 0.336
F 0.488 0.760 0.836
F 0.512 0.240 0.164
F 0.512 0.260 0.664
F 0.742 0.026 0.430
F 0.742 0.474 0.930
F 0.750 0.746 0.598
F 0.750 0.754 0.098
F 0.759 0.032 0.929
F 0.759 0.468 0.429
F 0.988 0.247 0.664
F 0.988 0.253 0.164

- Symmetry: P2_1/c (14)
- Total DFT energy (no corrections): -186.5 eV per cell
- E_form: -272 kJ/mol of atoms



[4]
Compound: PrMgGa
Source: the Materials Project
Functional: r²SCAN
Structure: optimized geometry

a = 7.493 Å, b = 7.493 Å, c = 4.563 Å
α = 90.00°, β = 90.00°, γ = 120.00°
Sites, in units of the cell vectors:
Pr 0.000 0.422 0.000
Pr 0.422 0.000 0.000
Pr 0.578 0.578 0.000
Mg 0.000 0.758 0.500
Mg 0.242 0.242 0.500
Mg 0.758 0.000 0.500
Ga 0.000 0.000 0.000
Ga 0.333 0.667 0.500
Ga 0.667 0.333 0.500

- Symmetry: P-62m (189)
- Total DFT energy (no corrections): -139.9 eV per cell
- E_form: -52 kJ/mol of atoms



[5]
Compound: Pr6Ge3S14
Source: the Materials Project
Functional: r²SCAN
Structure: optimized geometry

a = 10.330 Å, b = 10.330 Å, c = 5.815 Å
α = 90.00°, β = 90.00°, γ = 120.00°
Sites, in units of the cell vectors:
Pr 0.026 0.566 0.000
Pr 0.309 0.100 0.509
Pr 0.434 0.459 0.000
Pr 0.541 0.974 0.000
Pr 0.791 0.691 0.509
Pr 0.900 0.209 0.509
Ge 0.000 0.000 0.925
Ge 0.333 0.667 0.416
Ge 0.667 0.333 0.265
S 0.000 0.000 0.299
S 0.078 0.853 0.771
S 0.147 0.225 0.771
S 0.187 0.441 0.265
S 0.255 0.813 0.265
S 0.333 0.667 0.791
S 0.414 0.170 0.027
S 0.499 0.422 0.514
S 0.559 0.745 0.265
S 0.578 0.078 0.514
S 0.756 0.586 0.027
S 0.775 0.922 0.771
S 0.830 0.244 0.027
S 0.922 0.501 0.514

- Symmetry: P3 (143)
- Total DFT energy (no corrections): -369.6 eV per cell
- E_form: -164 kJ/mol of atoms



[6]
Compound: Yb2Ni21B6
Source: the Materials Project
Functional: r²SCAN
Structure: optimized geometry